About fair trade labels and certifications
The products we as a consumer buy often feature many labels. Some guarantee that our vegetables come from organic farming. Others, for example, that the Parmigiano Reggiano really was made in Italy. There is also the Fairtrade label. The Fairtrade label offers guarantees for both consumers and producers. What else does it say about a product?
What is Fair Trade?
Indeed, what is it exactly? We can already tell you that it’s more than just an honest price or a label with the familiar blue-green sphere.
Fair Trade is essentially a global movement that fights for a world where justice, equality and sustainable development form the core of trade structures and practices. They do this based on the 10 Fair Trade Principles.

These crystal structures were left in the page by mistake
Density functional theory data (GGA+U) for crystalline Na3Ca18FeP14O56 at its relaxed geometry.

abc: 10.4925 10.4968 13.8710
angles: 90.04 112.16 119.86
Atoms (fractional coordinates):
1 Na 0.6350 0.8173 0.4506
2 Na 0.4723 0.5305 0.0236
3 Na 0.6307 0.3204 0.9510
4 Ca 0.8559 0.9188 0.2021
5 Ca 0.2704 0.3462 0.2018
6 Ca 0.2815 0.9374 0.2032
7 Ca 0.4929 0.9377 0.0238
8 Ca 0.0882 0.5535 0.0250
9 Ca 0.2716 0.4286 0.7071
10 Ca 0.2782 0.8425 0.7043
11 Ca 0.8616 0.4352 0.7045
12 Ca 0.9989 0.4997 0.4984
13 Ca 0.1562 0.5633 0.3049
14 Ca 0.7123 0.1491 0.3049
15 Ca 0.7376 0.5894 0.3000
16 Ca 0.7120 0.0613 0.8071
17 Ca 0.7428 0.6501 0.8076
18 Ca 0.1571 0.0973 0.8074
19 Ca 0.4955 0.0535 0.5238
20 Ca 0.0816 0.0285 0.5241
21 Ca 0.4700 0.4415 0.5239
22 Fe 0.9987 0.0002 0.9987
23 P 0.4675 0.7352 0.2013
24 P 0.5957 0.7774 0.9097
25 P 0.0898 0.3133 0.9084
26 P 0.1307 0.8176 0.9082
27 P 0.4272 0.6938 0.5996
28 P 0.8663 0.1724 0.6000
29 P 0.0882 0.2715 0.4023
30 P 0.9067 0.7340 0.6005
31 P 0.1311 0.8167 0.4026
32 P 0.5863 0.3151 0.4027
33 P 0.8657 0.1895 0.0936
34 P 0.9075 0.6777 0.0947
35 P 0.4156 0.2245 0.0929
36 P 0.4670 0.2332 0.7003
37 O 0.6345 0.7476 0.2455
38 O 0.3518 0.6092 0.2416
39 O 0.4980 0.8907 0.2442
40 O 0.3848 0.6971 0.0781
41 O 0.6428 0.8177 0.0293
42 O 0.1949 0.3886 0.0283
43 O 0.5221 0.6086 0.8686
44 O 0.7562 0.8691 0.8906
45 O 0.0006 0.1344 0.8911
46 O 0.1914 0.3582 0.8446
47 O 0.2163 0.8290 0.0285
48 O 0.9554 0.3511 0.8689
49 O 0.4835 0.8343 0.8489
50 O 0.5065 0.6097 0.6638
51 O 0.2636 0.9104 0.8695
52 O 0.0153 0.6492 0.8491
53 O 0.9769 0.1091 0.6391
54 O 0.0222 0.8875 0.8891
55 O 0.7684 0.1581 0.6652
56 O 0.5293 0.8673 0.6401
57 O 0.1943 0.3138 0.5251
58 O 0.2679 0.6315 0.6160
59 O 0.9790 0.3477 0.6156
60 O 0.3927 0.6489 0.4812
61 O 0.9853 0.6366 0.6165
62 O 0.7365 0.0889 0.4818
63 O 0.0553 0.8966 0.6658
64 O 0.9582 0.0994 0.3686
65 O 0.2033 0.3226 0.3470
66 O 0.7732 0.6622 0.6408
67 O 0.2116 0.8802 0.5254
68 O 0.6452 0.3314 0.5256
69 O 0.9959 0.3555 0.3720
70 O 0.2699 0.8588 0.3688
71 O 0.0169 0.6409 0.3720
72 O 0.7317 0.3762 0.3721
73 O 0.8345 0.7453 0.4824
74 O 0.4667 0.1451 0.3480
75 O 0.9716 0.1185 0.0978
76 O 0.7749 0.1073 0.1623
77 O 0.5105 0.4118 0.3693
78 O 0.0266 0.8825 0.3481
79 O 0.9868 0.3615 0.1385
80 O 0.0602 0.6700 0.1617
81 O 0.5088 0.1452 0.1390
82 O 0.7331 0.1516 0.9792
83 O 0.4932 0.3818 0.1627
84 O 0.7862 0.6309 0.1434
85 O 0.9812 0.8540 0.0971
86 O 0.2419 0.1240 0.0970
87 O 0.8302 0.5825 0.9802
88 O 0.3934 0.2356 0.9775
89 O 0.4967 0.1076 0.7409
90 O 0.6328 0.3884 0.7411
91 O 0.3524 0.2444 0.7409
92 O 0.3845 0.1919 0.5760


Density functional theory data (GGA+U) for crystalline Li3VSi6O15 at its relaxed geometry.

energy above the lowest structure with this stoichiometry: 2 meV/atom

abc: 11.0275 11.0275 10.1994
angles: 90.00 90.00 99.94
Atoms (fractional coordinates):
1 Li 0.2357 0.2357 0.0000
2 Li 0.4772 0.0228 0.2500
3 Li 0.0228 0.4772 0.7500
4 Li 0.2643 0.2643 0.5000
5 Li 0.0621 0.9379 0.7976
6 Li 0.5621 0.4379 0.7024
In the International Fair Trade Charter (2018), you can read more about how fair trade organisations make a difference.
Fair trade labels and certifications
Fair trade labels come in all shapes and sizes. You can find an extensive analysis of every label in our Handbook on Fair Trade Standards (English) or in the Korte introductie tot labels en certificering (Dutch).
But they all have one thing in common: they offer guarantees for both the consumers and the producers.

Guarantees for producers
Fair trade labels want to create opportunities for producers in difficult positions (principle 1). They receive a fair price for their product (principle 4) and are eligible for prefinancing. This in a stable, long-term relationship based exclusively on fair business practices (principle 3). Most fair trade labels also guarantee a fair trade premium, which enables farmers to invest in their communities. The devoted fair trade organisations also provide capacity development (principle 8) in all forms and advocate for structural changes to the trade system via public campaigns, political actions and education (principle 9). This way they work on permanent, sustainable economic and social development.
Guarantees for consumers
What comes next are data records, not part of the text:
-- begin --
No. 1
VASP calculation (PBE with a Hubbard U) on a relaxed Li4Co3NiO8 crystal.

ΔE_f (eV/atom): -1.63
Energy above the most stable polymorph in this dataset (meV per atom): 54.4
E (eV for the cell shown): -175.0
SG: P1
Magnetic moment (μB/f.u.): 4.01

Lattice parameters (Å, degrees): 5.8583 5.8521 8.1903 90.40 90.27 91.03
With the nearest neighbours (Å) after each atom.
Positions (direct):
Li  0.0010  0.9965  0.5023  6 O 2.05-2.12
Li  0.4973  0.5042  0.9980  6 O 2.05-2.12
Li  0.2500  0.7514  0.2495  6 O 2.06-2.17
Li  0.7494  0.2487  0.7500  6 O 2.13-2.24
Li  0.4929  0.0001  0.5042  4 O 2.00-2.22
Li  0.0049  0.5051  0.9960  6 O 2.10-2.21
Li  0.2512  0.2485  0.7516  6 O 2.03-2.21
Li  0.7511  0.7488  0.2464  6 O 2.11-2.26
Co  0.0061  0.4992  0.5006  6 O 1.88-1.96
Co  0.4924  0.9954  0.9963  6 O 1.91-2.11
Co  0.2504  0.7492  0.7478  6 O 1.93-1.97
Co  0.2472  0.2527  0.2511  6 O 1.88-1.96
Co  0.7521  0.7492  0.7509  4 O 1.91-1.99
Co  0.7479  0.2502  0.2465  6 O 1.92-2.06
Ni  0.5036  0.4997  0.5007  6 O 2.02-2.08
Ni  0.9997  0.9987  0.0006  6 O 2.04-2.10
O  0.0124  0.4856  0.2619  3 Co 1.96-2.06, 2 Li 2.07-2.18
O  0.4837  0.9951  0.7482  3 Co 1.97-2.15, 3 Li 2.00-2.13
O  0.0202  0.5031  0.7350  2 Co 1.92-1.96, 2 Li 2.04-2.14
O  0.4821  0.0209  0.2534  3 Co 1.95-2.11, 2 Li 2.06
O  0.2327  0.2695  0.4837  2 Co 1.91, 1 Ni 2.07, 1 Li 2.09
O  0.7422  0.7582  0.9890  2 Co 1.95-2.04, 1 Ni 2.05, 3 Li 2.05-2.16
O  0.2362  0.7268  0.5132  2 Co 1.88-1.93, 1 Ni 2.08
O  0.7359  0.2370  0.0120  2 Co 1.92-1.99, 1 Ni 2.10, 2 Li 2.12-2.15
O  0.0003  0.9653  0.7521  2 Co 1.91-1.95, 1 Ni 2.04, 1 Li 2.06
O  0.4862  0.4773  0.2535  2 Co 1.90-2.05, 1 Ni 2.03, 1 Li 2.10
O  0.0119  0.0256  0.2509  2 Co 1.90-2.05, 1 Ni 2.06, 1 Li 2.07
O  0.5017  0.5338  0.7459  2 Co 1.92-1.95, 1 Ni 2.02, 1 Li 2.07
O  0.7701  0.2691  0.4905  2 Co 1.91-2.00, 1 Ni 2.08, 2 Li 2.11-2.13
O  0.2575  0.7643  0.9863  2 Co 1.91-1.96, 1 Ni 2.06, 2 Li 2.09-2.10
O  0.7765  0.7232  0.5098  2 Co 1.90-1.99, 1 Ni 2.05, 1 Li 2.05
O  0.2531  0.2478  0.0219  2 Co 1.88-2.07, 1 Li 2.07, 1 Ni 2.07

No. 2
VASP calculation (PBE with a Hubbard U) on a relaxed MgCr4O12 crystal.

ΔE_f (eV/atom): -1.72
Energy above the most stable polymorph in this dataset (meV per atom): 51.3
E (eV for the cell shown): -112.5
SG: P1
Magnetic moment (μB/f.u.): 1.99

Lattice parameters (Å, degrees): 7.2250 4.7775 9.2817 94.44 67.68 92.49
With the nearest neighbours (Å) after each atom.
Positions (direct):
Mg  0.1283  0.5542  0.3521  4 O 1.98-2.01
Cr  0.1259  0.9531  0.7016  4 O 1.59-1.78
Cr  0.6350  0.5163  0.2006  4 O 1.59-1.75
Cr  0.3542  0.4755  0.7981  4 O 1.60-1.79
Cr  0.8743  0.0269  0.2850  4 O 1.68-1.84
O  0.0711  0.8116  0.2139  1 Cr 1.68
O  0.1399  0.7862  0.5345  1 Cr 1.66
O  0.4015  0.3980  0.2770  1 Cr 1.66
O  0.1632  0.7208  0.8274  2 Cr 1.77-1.78
O  0.3247  0.2037  0.6650  2 Cr 1.78-1.79
O  0.6763  0.6615  0.0430  1 Cr 1.59
O  0.3213  0.3568  0.9629  1 Cr 1.60
O  0.6661  0.7698  0.3370  2 Cr 1.75-1.84
-- stop --
Fair Trade is a partnership. In exchange for the advantages that the producers receive, they ensure the making of their product does not involve child labour (principle 5). They establish cooperatives with no room for discrimination (principle 6). They also guarantee the freedom of association and good working conditions (principle 7). Finally, both the producer and the trader vow to protect the environment (principle 10) and to establish transparent supply chains. By buying fair trade products the consumer helps contribute to a better world. All of this with the reassurance that their products have been produced in an ethical manner.
But Oxfam Fair Trade does not accept just any fair trade label. We only work with systems that meet our strict criteria. These are currently Fairtrade (Fairtrade International), Fair for Life (ECOCERT) and Símbolo de Pequeños Productores ou SPP (SPP Global). We also use the guarantee system from World Fair Trade Organization (WFTO GS).
Right now the bulk of our products feature the Fair trade label from Fairtrade International. But even a producer organisation that is not (yet) certified can become our trade partner. In these cases our employees and purchasers thoroughly monitor these organisations based on the guarantee system from the European Fair Trade Association.
Fair trade labels offer a concrete alternative for the current unfair global trade where in many cases neither human rights nor the environment are being respected.
More than Fair Trade certification
Labels are a handy tool but not a goal in itself. That a product is produced in a fair and sustainable way is more important than whether it has a fair trade label.
This is why we go further than Fair Trade certification:
Direct and humane trade relations
Oxfam Fair Trade maintains direct relations with their immediate partners. Via regular visits we search for growth possibilities together with the partner. Equally important as the financial contract is the human contact.
Focus on vulnerable players
[Attached: records of crystals]
____________
{
  "formula": "AlCu3N3",
  "functional": "GGA-PBE",
  "state": "relaxed",
  "lattice": [[4.0701, 0.0000, 0.0000], [0.0000, 4.0701, 0.0000], [0.0000, 0.0000, 4.0701]],
  "species": ["Al", "Cu", "Cu", "Cu", "N", "N", "N"],
  "frac_coords": [[0.0000, 0.0000, 0.0000], [0.0000, 0.5000, 0.5000], [0.5000, 0.0000, 0.5000], [0.5000, 0.5000, 0.0000], [0.0000, 0.0000, 0.5000], [0.0000, 0.5000, 0.0000], [0.5000, 0.0000, 0.0000]],
  "magnetic_moment_mub_per_cell": 0.00,
  "vol_a3_per_fu": 67,
  "sg": "Pm-3m (221)",
  "final_energy_ev_per_atom": -5.765
}


No. 1
Here is a relaxed Li4Ni5Sb3O16 crystal from Materials Project. Energies are from PBE with a Hubbard U.

## Properties
Energy with MP2020 corrections = -174.64 eV per cell
E_form = -1.662 eV/atom
M_tot = 7.00 μB/cell
SG = No. 1

Unit cell a=6.0026 b=6.0518 c=9.6598 alpha=89.98 beta=90.86 gamma=120.27
Atoms (fractional coordinates):
Li1 0.9576 0.9787 0.9922
Li2 0.9741 0.9870 0.5040
Li3 0.3377 0.6690 0.8770
Li4 0.6590 0.3297 0.3970
O1 0.5259 0.4860 0.8356
O2 0.0105 0.0053 0.3193
O3 0.8540 0.6821 0.1016
O4 0.0016 0.9994 0.8102
O5 0.3202 0.1601 0.1011
O6 0.4751 0.9650 0.3402
O7 0.8541 0.1719 0.1015
O8 0.3270 0.6635 0.0993
O9 0.1581 0.3167 0.6033
O10 0.6778 0.8388 0.6118
O11 0.0299 0.5150 0.3377
O12 0.4750 0.5104 0.3401
O13 0.5256 0.0400 0.8353
O14 0.1579 0.8408 0.6030
O15 0.6664 0.3345 0.6043
O16 0.9637 0.4821 0.8248
Ni1 0.3405 0.6700 0.4959
Ni2 0.8320 0.6618 0.7142
Ni3 0.6922 0.3461 0.9821
Ni4 0.6649 0.8324 0.2168
Ni5 0.8321 0.1702 0.7145
Sb1 0.3418 0.1710 0.7144
Sb2 0.1725 0.3395 0.2153
Sb3 0.1725 0.8330 0.2153

***

No. 2
Here is a relaxed LiCoPO4 crystal from Materials Project. Energies are from PBE with a Hubbard U.

## Properties
Energy above the lowest structure with this stoichiometry = 485 meV per atom
Energy with MP2020 corrections = -762.99 eV per cell
E_form = -1.923 eV/atom
M_tot = 0.07 μB/cell
SG = No. 9

Unit cell a=10.0405 b=10.0405 c=17.3767 alpha=71.94 beta=71.94 gamma=58.84
Atoms (fractional coordinates):
O1 0.1705 0.6718 0.0496
O2 0.6721 0.6733 0.5486
O3 0.0409 0.3562 0.6078
O4 0.6417 0.5848 0.7009
O5 0.6068 0.1737 0.0496
O6 0.8576 0.4186 0.3008
O7 0.8568 0.0417 0.1084
O8 0.0417 0.8568 0.6084
O9 0.5848 0.6417 0.2009
O10 0.1419 0.5835 0.7012
O11 0.8067 0.1034 0.8632
O12 0.8299 0.3276 0.9514
O13 0.6067 0.7292 0.3627
O14 0.6461 0.9591 0.8908
O15 0.8643 0.9208 0.2983
O16 0.1061 0.1733 0.0497
O17 0.3276 0.8299 0.4514
O18 0.0110 0.4563 0.8866
O19 0.3938 0.2715 0.6396
O20 0.4198 0.3563 0.8000
O21 0.1733 0.1061 0.5497
O22 0.8256 0.3940 0.4526
O23 0.6940 0.8977 0.1404
O24 0.9581 0.1436 0.3922
O25 0.1034 0.8067 0.3632
O26 0.8960 0.8229 0.9509
O27 0.6733 0.6721 0.0486
O28 0.6038 0.2329 0.3617
O29 0.2329 0.6038 0.8617
O30 0.8229 0.8960 0.4509
O31 0.1021 0.3046 0.3621
O32 0.7705 0.3946 0.1393
O33 0.5835 0.1419 0.2012
O34 0.3634 0.9198 0.2989
O35 0.3284 0.3263 0.9522
O36 0.8977 0.6940 0.6404
O37 0.9591 0.6461 0.3908
O38 0.3940 0.8256 0.9526
O39 0.9208 0.8643 0.7983
O40 0.5498 0.4887 0.6150
____________
Throughout the years many of our fair trade partners have developed into strong and independent cooperatives. But many groups of producers will never have the capacity needed to go through the certification process. When looking for new partners we focus on the latter category. In these cases we go through the EFTA Suppliers Info Management System, an analysis system supported by the fair trade players in Europe, together with the partner and free of charge.
Maximum traceability
We choose maximum transparency. This means we can trace the origin of our products back to the partner level. Transparency makes the producer behind the product visible. It’s also the only way for us to truly guarantee the ten fair trade principles. This is, for example, not the case with mass balance, where traceable ingredients are mixed with non-traceable ingredients.
Internal monitoring system
Certification can never cover all the risks. Therefore Oxfam Fair Trade and Oxfam-Wereldwinkels take no chances. Via the partner policy we assess risks at the partner level and we do the same for other partners in the chain via the supplier policy. This way we safely embed our practices in the ten fair trade principles.